Given =
/*
Entry 1:
Formula: CH3NS
Source: the OMol25 dataset
Level of theory: ωB97M-V/def2-TZVPD

## Properties
- highest occupied orbital energy (eV) = -9.00
- electronic energy (eV) = -13408.5481
- E_LUMO (eV) = -0.57
- energy relative to the best compared isomer or geometry (same formula, charge and spin) (kcal per mole) = 53.16
- Kohn-Sham gap (hartree) = 0.3096

```
! RIJCOSX wB97M-V def2-TZVPD def2/J DEFGRID3
* xyz 0 1
C 0.6561 -0.5393 -0.2515
N -0.8766 0.2118 0.3855
S 2.0710 0.2021 -0.3044
H 0.1620 -1.4587 -0.5290
H -1.2135 0.6884 -0.4216
H -0.7990 0.8957 1.1211
*
```

=====

Entry 2:
Formula: C18H19Cl5GdN7OSe
Source: the OMol25 dataset
Level of theory: ωB97M-V/def2-TZVPD

## Properties
- expectation value of S² = 15.886
- highest occupied orbital energy (spin up / spin down) (eV) = -12.87 / -12.90
- electronic energy (eV) = -180233.7385
- E_LUMO (spin up / spin down) (eV) = -8.02 / -6.01
- energy relative to the best compared isomer or geometry (same formula, charge and spin) (kcal per mole) = 3.70
- Kohn-Sham gap (spin up / spin down) (hartree) = 0.1781 / 0.2532

```
! RIJCOSX wB97M-V def2-TZVPD def2/J DEFGRID3
* xyz 2 8
Gd 0.1491 -0.3889 1.3634
C 3.1696 3.5347 0.2461
N 1.7373 3.7267 0.1357
C 1.2858 5.0836 -0.1953
C 0.8665 2.6874 0.2919
N 1.1508 1.4114 0.4224
N -0.4552 3.0871 0.4045
C -1.5992 2.3440 0.5256
N -2.7177 2.9787 0.3252
N -1.5482 1.0747 0.8512
H 3.6068 4.1525 -0.5489
H 3.4418 2.4683 0.0762
H 3.5091 3.8160 1.2409
H 2.1289 5.7185 -0.2227
H 0.5993 5.5095 0.6341
H 0.8052 5.2344 -1.1785
H 2.0687 1.1565 0.1452
H -0.5492 4.1049 0.4611
H -2.7784 4.0155 0.4807
H -3.6184 2.4542 0.3253
H -2.4541 0.7657 1.1835
Cl 5.5201 -5.5001 2.3486
C 4.4556 -4.3516 1.6827
C 3.9267 -3.3720 2.5449
Cl 4.4738 -3.1077 4.1488
C 2.9789 -2.4840 2.1360
Cl 2.1554 -1.2707 3.1721
C 2.6606 -2.3053 0.7707
O 1.8078 -1.4130 0.3631
C 3.2869 -3.2254 -0.1573
Cl 2.6010 -3.2063 -1.7826
C 4.1103 -4.2663 0.3115
Cl 4.5445 -5.5061 -0.7680
C -4.2608 -2.0650 0.8756
N -3.0441 -1.9240 0.0762
C -1.8086 -2.3536 0.4473
Se -1.1163 -2.8319 2.0822
N -0.8987 -2.0028 -0.5663
C -1.5878 -1.1914 -1.5569
C -1.1312 -0.5513 -2.6866
C -2.1056 -0.0728 -3.5819
C -3.4799 -0.2076 -3.2298
C -3.9698 -0.7376 -2.0190
C -2.9899 -1.2696 -1.1851
H -4.0123 -2.7501 1.6825
H -5.1674 -2.4642 0.3524
H -4.5549 -1.1709 1.4142
H -0.0236 -2.4822 -0.7350
H -0.0721 -0.4381 -2.8204
H -1.8410 0.2293 -4.5766
H -4.2256 0.0875 -3.9797
H -5.0305 -0.7308 -1.7311
*
```

=====

Entry 3:
Formula: C9H17N5O
Source: the OMol25 dataset
Level of theory: ωB97M-V/def2-TZVPD

## Properties
- highest occupied orbital energy (eV) = -10.14
- electronic energy (eV) = -19105.8251
- E_LUMO (eV) = 0.56
- energy relative to the best compared isomer or geometry (same formula, charge and spin) (kcal per mole) = 18.30
- Kohn-Sham gap (hartree) = 0.3933

```
! RIJCOSX wB97M-V def2-TZVPD def2/J DEFGRID3
* xyz 0 1
C -2.5022 1.0315 1.6373
C -3.4982 0.4577 0.6175
C -3.0867 -0.5094 -0.4684
C -2.0389 -0.0865 -1.4936
C -0.7280 0.0924 -0.8429
C 1.3190 1.3381 -0.4877
C 2.6262 -0.7317 -1.0169
C 3.1358 -1.6522 0.0856
C 2.3712 -1.4972 1.4128
H -1.8234 1.7547 1.1116
H -3.0504 1.6201 2.3509
H -1.9252 0.2513 2.1351
H -4.3091 -0.0733 1.1754
H -3.9840 1.3015 0.1358
H -2.8228 -1.4962 -0.1230
H -4.0146 -0.6118 -1.0196
H -2.4191 0.8783 -2.0195
H -1.9559 -0.8811 -2.3054
H -0.2436 1.9205 -1.7504
H 1.7421 -1.1101 -1.4736
H 3.4614 -0.6566 -1.7622
H 3.0547 -2.6786 -0.3099
H 4.2231 -1.4474 0.1989
H 2.6359 -2.2702 2.1074
H 2.5499 -0.5336 1.8540
H 1.2580 -1.5210 1.3786
N 0.1067 1.1440 -1.1887
N 1.5993 2.4997 0.0287
N 2.9112 2.3841 0.4126
N 3.3868 1.2405 0.0950
N 2.3784 0.5544 -0.4596
O -0.3576 -0.7118 -0.0159
*
```

=====

Entry 4:
Formula: C3H3ClN2O
Source: the OMol25 dataset
Level of theory: ωB97M-V/def2-TZVPD

## Properties
- highest occupied orbital energy (eV) = -9.34
- electronic energy (eV) = -20706.4086
- E_LUMO (eV) = 0.36
- energy relative to the best compared isomer or geometry (same formula, charge and spin) (kcal per mole) = 72.19
*/

Activity =
Print the listing above from the line with "0.4126" to the end unchanged.

Response =
N 2.9112 2.3841 0.4126
N 3.3868 1.2405 0.0950
N 2.3784 0.5544 -0.4596
O -0.3576 -0.7118 -0.0159
*
```

=====

Entry 4:
Formula: C3H3ClN2O
Source: the OMol25 dataset
Level of theory: ωB97M-V/def2-TZVPD

## Properties
- highest occupied orbital energy (eV) = -9.34
- electronic energy (eV) = -20706.4086
- E_LUMO (eV) = 0.36
- energy relative to the best compared isomer or geometry (same formula, charge and spin) (kcal per mole) = 72.19